(Entries)
- - -
# 1
Computed, not measured: C10H30ClO5S2 as an isolated structure at a distorted geometry, with ωB97M-V/def2-TZVPD.

Values from the calculation:
orbital gap = 7.248 eV
net charge = -1
relative energy (zero: lowest compared OMol25 entry of this formula, charge and spin) = 153.9 kJ/mol

XYZ file:
```
48
Properties=species:S:1:pos:R:3:lowdin_charge:R:1
Cl -17.74018 -15.92231 73.68198 0.023
C -15.67702 -16.07135 78.48677 -0.073
C -15.99726 -15.06168 77.33968 -0.263
O -16.15984 -15.76878 76.02699 -0.183
H -16.16418 -17.00317 78.51985 0.039
H -15.68635 -15.60973 79.41201 0.027
H -14.54878 -16.46602 78.29549 0.117
H -15.08644 -14.32434 77.26955 0.129
H -16.79843 -14.60582 77.61165 0.001
H -16.72799 -15.17346 75.51302 -0.090
C -17.44022 -14.75446 69.89387 -0.117
C -18.06074 -13.41180 70.26280 -0.310
O -17.68870 -13.23897 71.60493 -0.161
H -17.66564 -15.29004 68.88829 0.082
H -17.67468 -15.55236 70.55506 0.020
H -16.27749 -14.81824 69.74842 0.100
H -19.01063 -13.44960 69.97849 0.066
H -17.48318 -12.84238 69.68793 0.063
H -18.06451 -13.88814 72.32509 0.040
C -19.10168 -12.86506 77.68833 -0.104
C -19.57013 -13.47619 76.41934 -0.363
O -19.64068 -14.89921 76.27570 -0.152
H -19.28281 -11.72198 77.71646 0.114
H -18.11778 -13.14662 77.85419 0.006
H -19.63304 -13.37243 78.59312 0.109
H -18.92845 -13.17803 75.62257 0.088
H -20.56464 -13.04174 76.39704 0.098
H -19.39491 -15.00647 75.24503 0.051
C -15.59981 -12.93633 75.09678 -0.237
S -16.29201 -11.53704 74.13463 0.800
O -15.98852 -10.38020 74.98560 -0.585
C -15.09804 -11.48956 72.68923 -0.225
H -14.46347 -12.63031 75.06888 0.103
H -15.96273 -13.73180 74.64315 -0.060
H -16.02745 -12.95590 76.12509 0.045
H -13.98344 -11.65434 73.11520 0.100
H -15.29790 -10.77929 72.07769 -0.051
H -15.12864 -12.35572 71.99147 0.053
C -18.67629 -18.73372 75.47307 -0.309
S -18.78564 -18.47530 73.75955 0.662
O -18.78956 -19.84676 73.06387 -0.612
C -20.40673 -17.83127 73.52579 -0.282
H -18.75885 -17.62405 75.98406 0.109
H -17.73613 -19.20307 75.51003 0.015
H -19.38972 -19.49500 75.90969 0.068
H -20.64217 -17.73346 72.46055 0.072
H -20.19592 -16.94262 73.93845 -0.071
H -21.15774 -18.31241 74.10789 0.049
```



# 2
Computed, not measured: a 4-piece molecular cluster, C10H30N2O4 overall at a distorted geometry, with ωB97M-V/def2-TZVPD.

Values from the calculation:
structure (SMILES) = COC[C@H](C)N.COC[C@H](C)N.CCO.O
orbital gap = 9.647 eV
net charge = 0
relative energy (zero: lowest compared OMol25 entry of this formula, charge and spin) = 52.7 kJ/mol

XYZ file:
```
46
Properties=species:S:1:pos:R:3:lowdin_charge:R:1
C -1.45052 -0.55686 -3.54242 -0.164
O -0.89220 -1.02406 -2.39157 -0.207
C -1.79440 -1.73961 -1.60122 -0.215
C -1.02292 -2.32485 -0.43492 -0.412
C -0.05575 -3.49733 -0.80336 -0.065
N -1.84885 -2.72496 0.73605 0.037
H -2.34303 0.20298 -3.43745 0.131
H -1.80397 -1.33693 -4.20719 0.080
H -0.69181 0.03887 -4.12318 0.107
H -2.57462 -1.10014 -1.18982 0.114
H -2.30925 -2.56860 -2.18893 0.150
H -0.34081 -1.52829 -0.05584 0.125
H -0.65078 -4.31009 -1.13145 0.046
H 0.67353 -3.87025 0.01577 0.099
H 0.70983 -3.18416 -1.56288 0.078
H -2.68948 -3.22940 0.51299 0.058
H -2.09727 -1.88703 1.33803 0.076
C -2.45281 1.20685 0.69368 -0.090
O -2.00738 0.33955 1.74708 -0.194
C -0.57532 0.55795 1.86035 -0.235
C 0.03550 -0.32187 2.89183 -0.460
C -0.52289 -0.02690 4.29598 -0.061
N 1.50396 -0.18710 2.92154 0.046
H -3.51191 1.10998 0.68925 0.081
H -2.02826 0.86276 -0.25141 0.052
H -2.05120 2.22875 0.80258 0.098
H -0.03264 0.45331 0.91252 0.103
H -0.37592 1.62230 2.15023 0.139
H -0.20385 -1.42029 2.76652 0.148
H -0.09018 -0.80928 4.97356 0.094
H -1.57838 0.01537 4.26223 0.056
H -0.15797 0.89342 4.71227 0.064
H 1.81248 -0.67776 2.13394 0.036
H 1.71689 0.83714 2.87263 0.093
C 3.53079 2.93669 -0.30190 -0.090
C 3.51576 2.85650 -1.80486 -0.306
O 2.78295 1.73765 -2.33716 -0.097
H 4.30092 2.21761 0.10180 0.086
H 2.58703 2.56206 0.12602 0.070
H 3.84973 3.94475 0.02540 0.083
H 4.49916 2.84550 -2.25461 0.107
H 2.99255 3.71971 -2.23974 0.117
- - -
(To do)
Duplicate all of the rows further above without additions.
(Here it is)
# 1
Computed, not measured: C10H30ClO5S2 as an isolated structure at a distorted geometry, with ωB97M-V/def2-TZVPD.

Values from the calculation:
orbital gap = 7.248 eV
net charge = -1
relative energy (zero: lowest compared OMol25 entry of this formula, charge and spin) = 153.9 kJ/mol

XYZ file:
```
48
Properties=species:S:1:pos:R:3:lowdin_charge:R:1
Cl -17.74018 -15.92231 73.68198 0.023
C -15.67702 -16.07135 78.48677 -0.073
C -15.99726 -15.06168 77.33968 -0.263
O -16.15984 -15.76878 76.02699 -0.183
H -16.16418 -17.00317 78.51985 0.039
H -15.68635 -15.60973 79.41201 0.027
H -14.54878 -16.46602 78.29549 0.117
H -15.08644 -14.32434 77.26955 0.129
H -16.79843 -14.60582 77.61165 0.001
H -16.72799 -15.17346 75.51302 -0.090
C -17.44022 -14.75446 69.89387 -0.117
C -18.06074 -13.41180 70.26280 -0.310
O -17.68870 -13.23897 71.60493 -0.161
H -17.66564 -15.29004 68.88829 0.082
H -17.67468 -15.55236 70.55506 0.020
H -16.27749 -14.81824 69.74842 0.100
H -19.01063 -13.44960 69.97849 0.066
H -17.48318 -12.84238 69.68793 0.063
H -18.06451 -13.88814 72.32509 0.040
C -19.10168 -12.86506 77.68833 -0.104
C -19.57013 -13.47619 76.41934 -0.363
O -19.64068 -14.89921 76.27570 -0.152
H -19.28281 -11.72198 77.71646 0.114
H -18.11778 -13.14662 77.85419 0.006
H -19.63304 -13.37243 78.59312 0.109
H -18.92845 -13.17803 75.62257 0.088
H -20.56464 -13.04174 76.39704 0.098
H -19.39491 -15.00647 75.24503 0.051
C -15.59981 -12.93633 75.09678 -0.237
S -16.29201 -11.53704 74.13463 0.800
O -15.98852 -10.38020 74.98560 -0.585
C -15.09804 -11.48956 72.68923 -0.225
H -14.46347 -12.63031 75.06888 0.103
H -15.96273 -13.73180 74.64315 -0.060
H -16.02745 -12.95590 76.12509 0.045
H -13.98344 -11.65434 73.11520 0.100
H -15.29790 -10.77929 72.07769 -0.051
H -15.12864 -12.35572 71.99147 0.053
C -18.67629 -18.73372 75.47307 -0.309
S -18.78564 -18.47530 73.75955 0.662
O -18.78956 -19.84676 73.06387 -0.612
C -20.40673 -17.83127 73.52579 -0.282
H -18.75885 -17.62405 75.98406 0.109
H -17.73613 -19.20307 75.51003 0.015
H -19.38972 -19.49500 75.90969 0.068
H -20.64217 -17.73346 72.46055 0.072
H -20.19592 -16.94262 73.93845 -0.071
H -21.15774 -18.31241 74.10789 0.049
```



# 2
Computed, not measured: a 4-piece molecular cluster, C10H30N2O4 overall at a distorted geometry, with ωB97M-V/def2-TZVPD.

Values from the calculation:
structure (SMILES) = COC[C@H](C)N.COC[C@H](C)N.CCO.O
orbital gap = 9.647 eV
net charge = 0
relative energy (zero: lowest compared OMol25 entry of this formula, charge and spin) = 52.7 kJ/mol

XYZ file:
```
46
Properties=species:S:1:pos:R:3:lowdin_charge:R:1
C -1.45052 -0.55686 -3.54242 -0.164
O -0.89220 -1.02406 -2.39157 -0.207
C -1.79440 -1.73961 -1.60122 -0.215
C -1.02292 -2.32485 -0.43492 -0.412
C -0.05575 -3.49733 -0.80336 -0.065
N -1.84885 -2.72496 0.73605 0.037
H -2.34303 0.20298 -3.43745 0.131
H -1.80397 -1.33693 -4.20719 0.080
H -0.69181 0.03887 -4.12318 0.107
H -2.57462 -1.10014 -1.18982 0.114
H -2.30925 -2.56860 -2.18893 0.150
H -0.34081 -1.52829 -0.05584 0.125
H -0.65078 -4.31009 -1.13145 0.046
H 0.67353 -3.87025 0.01577 0.099
H 0.70983 -3.18416 -1.56288 0.078
H -2.68948 -3.22940 0.51299 0.058
H -2.09727 -1.88703 1.33803 0.076
C -2.45281 1.20685 0.69368 -0.090
O -2.00738 0.33955 1.74708 -0.194
C -0.57532 0.55795 1.86035 -0.235
C 0.03550 -0.32187 2.89183 -0.460
C -0.52289 -0.02690 4.29598 -0.061
N 1.50396 -0.18710 2.92154 0.046
H -3.51191 1.10998 0.68925 0.081
H -2.02826 0.86276 -0.25141 0.052
H -2.05120 2.22875 0.80258 0.098
H -0.03264 0.45331 0.91252 0.103
H -0.37592 1.62230 2.15023 0.139
H -0.20385 -1.42029 2.76652 0.148
H -0.09018 -0.80928 4.97356 0.094
H -1.57838 0.01537 4.26223 0.056
H -0.15797 0.89342 4.71227 0.064
H 1.81248 -0.67776 2.13394 0.036
H 1.71689 0.83714 2.87263 0.093
C 3.53079 2.93669 -0.30190 -0.090
C 3.51576 2.85650 -1.80486 -0.306
O 2.78295 1.73765 -2.33716 -0.097
H 4.30092 2.21761 0.10180 0.086
H 2.58703 2.56206 0.12602 0.070
H 3.84973 3.94475 0.02540 0.083
H 4.49916 2.84550 -2.25461 0.107
H 2.99255 3.71971 -2.23974 0.117